Webb Space Telescope photos of Neptune are the closest ones and are currently trending on social media. It is the first time Neptune has been captured so close alongside its rings, and 7 out of 14 moons are also visible.

# C41H82O31S5

A 12-piece molecular cluster, C41H82O31S5 overall (ωB97M-V/def2-TZVPD, OMol25).

- Net charge: 0
- Electronic energy: -5934.70846 Eh
- Highest occupied orbital energy: -0.3623 hartree
- LUMO: 0.198 eV
- SMILES string: O=S1(=O)CCCC1.O=S1(=O)CCCC1.O=S1(=O)CCCC1.O=S1(=O)CCCC1.O=S1(=O)CCCC1.COC(=O)OC.COC(=O)OC.COC(=O)OC.COC(=O)OC.COC(=O)OC.COC(=O)OC.COC(=O)OC

Element x y z (Å)
O 2.9394 3.8252 -4.4423
S 2.5657 2.6121 -3.7606
O 2.1058 2.7434 -2.3999
C 1.5139 1.6906 -4.8389
C 2.0607 0.2650 -4.7128
C 3.5346 0.3550 -4.8118
C 3.8845 1.4112 -3.7691
H 1.6828 2.0681 -5.8112
H 0.4780 1.8699 -4.4303
H 1.5556 -0.0835 -3.7851
H 1.7029 -0.4412 -5.5045
H 3.8130 0.5874 -5.8484
H 4.0351 -0.5496 -4.5281
H 4.7573 2.0585 -3.8782
H 3.7303 1.0085 -2.7946
O 1.8206 2.0169 4.7281
S 0.9570 3.1470 4.4752
O 1.3806 4.1141 3.4528
C -0.7144 2.5248 4.1830
C -1.2953 2.6736 5.5486
C -0.7788 3.9654 6.1479
C 0.6848 3.9485 6.0854
H -0.5500 1.4612 3.8255
H -1.2481 3.1756 3.4528
H -2.3765 2.6468 5.5295
H -0.9919 1.8352 6.1986
H -1.1051 4.1761 7.1829
H -1.2509 4.7575 5.5385
H 1.1209 3.3332 6.8641
H 1.1904 4.9166 5.9845
O -4.0328 0.2739 -2.2581
S -3.6628 -0.4914 -3.4494
O -4.2255 -1.8409 -3.6123
C -4.1179 0.4606 -4.9282
C -2.9683 0.2421 -5.8842
C -2.0366 -0.8403 -5.3526
C -1.8919 -0.5695 -3.8444
H -4.2191 1.5099 -4.6928
H -5.0760 0.0260 -5.2160
H -3.2228 0.0587 -6.9444
H -2.2642 1.1263 -5.9677
H -1.0738 -0.7744 -5.8246
H -2.2981 -1.9274 -5.4175
H -1.4257 0.3960 -3.6775
H -1.4273 -1.3812 -3.2482
O 2.8421 -2.7776 -0.8759
S 3.3824 -2.8676 0.4654
O 3.2251 -1.7420 1.3562
C 2.7064 -4.3544 1.1841
C 3.8405 -5.3499 1.5149
C 5.0434 -4.4343 1.7619
C 5.0629 -3.4805 0.5572
H 1.9139 -4.7344 0.5059
H 2.1315 -4.0492 2.1219
H 3.5668 -5.9221 2.3736
H 3.9954 -5.9611 0.6746
H 6.0320 -5.0625 1.8616
H 5.0209 -3.8507 2.7270
H 5.2068 -4.0213 -0.3849
H 5.7263 -2.6704 0.7942
O -0.9517 0.1765 2.0916
S -0.8868 1.1143 0.9823
O -1.5519 2.3586 1.2388
C 0.9149 1.3186 0.7134
C 1.3295 0.1620 -0.1558
C 0.2190 0.0339 -1.1823
C -1.2161 0.1083 -0.5162
H 1.3475 1.4099 1.7107
H 1.0043 2.2968 0.1900
H 2.3579 0.2809 -0.5714
H 1.4083 -0.6471 0.5082
H 0.2869 -0.9070 -1.7208
H 0.3436 0.8777 -1.8580
H -1.4700 -0.8313 -0.0341
H -1.9621 0.5114 -1.2198
C 0.1873 5.1527 -2.9068
O -0.4796 3.9375 -3.3442
C -1.7842 3.7786 -3.0193
O -2.2904 2.7098 -3.1754
O -2.3733 4.8654 -2.5781
C -3.7974 4.6926 -2.5091
H 1.2394 4.9284 -3.1794
H 0.0111 5.3544 -1.8119
H -0.1306 5.9838 -3.5435
H -4.1476 4.0033 -1.7536
H -4.0864 4.3078 -3.5314
H -4.0571 5.7639 -2.3365
C -4.5564 4.2649 1.8317
O -3.4098 5.0552 2.0026
C -3.2418 6.0784 1.1201
O -3.8895 6.3387 0.1366
O -2.2644 6.8273 1.6140
C -1.3604 6.5091 2.6971
H -4.3391 3.3094 2.2690
H -4.7705 4.0856 0.7820
H -5.3903 4.7391 2.2512
H -1.0636 5.4550 2.6912
H -1.7879 6.8638 3.6263
H -0.5214 7.1228 2.5175
C 1.4099 -1.1930 4.3022
O 1.6234 -2.4979 4.8791
C 0.6689 -2.8108 5.7664
O -0.3023 -2.1678 6.0288
O 1.0276 -4.0256 6.1915
C 0.2341 -4.5429 7.1715
H 0.3709 -1.1563 3.9674
H 2.1606 -1.0105 3.4927
Image credit: NASA
The James Webb Space Telescope viewed this distant planet on Wednesday with its mighty, gold-plated eye. Some of our best views of this planet in the past 30 years have been made possible by the power of this infrared telescope and the biggest and most sophisticated telescope ever sent into space.
NASA Post about Neptune
“Webb’s Near-Infrared Camera (NIRCam) images objects in the near-infrared range from 0.6 to 5 microns, so Neptune does not appear blue to Webb. In fact, the methane gas so strongly absorbs red and infrared light that the planet is quite dark at these near-infrared wavelengths, except where high-altitude clouds are present. Such methane-ice clouds are prominent as bright streaks and spots, which reflect sunlight before it is absorbed by methane gas. Images from other observatories, including the Hubble Space Telescope and the W.M. Keck Observatory, have recorded these rapidly evolving cloud features over the years.”
The telescope only needed a few minutes to capture a close-up image of Neptune and another 20 minutes to capture a larger image that showed not just the planet but also a vast number of galaxies that extended into space behind it.
According to NASA, It is the furthest planet from the sun, and Uranus are called “ice giants” because their interiors are made up of denser substances than Jupiter and Saturn’s gas giants.
Neptune often appears blue in photographs from the Hubble Space Telescope. Still, because the Webb telescope uses infrared technology, which makes it simpler to identify objects in space, it appears more visible.
Since 1989, when the NASA probe Voyager 2 passed by Neptune on its way out of the solar system, no spacecraft has made a stop at the planet. The furthest planet in our solar system is four times as wide as Earth. Astronomers were anxious to learn more about the ice giant, and Voyager 2’s observations whetted their appetites.
Triton is thought to have formerly been an object from the nearby Kuiper belt caught in the planet’s orbit because of its incorrect orbit around it. Astronomers have discovered that ice giant planets like Neptune and Uranus are the most prevalent in the Milky Way as they scour the cosmos for new planets like ours.
In certain photographs, the moon Triton may look like a brilliant blue dot, almost like a star, since it is brighter than Neptune due to its reflective frozen coating of condensed nitrogen.
7 of 14 moons can also be seen in Webb’s photos. The largest moon on the planet, Triton, is the brightest; scientists believe Neptune’s gravity trapped it at an early stage in the solar system’s history. Because methane makes it appear less luminous in infrared photos, Triton’s frozen nitrogen surface makes it sparkle like a star, brighter than Neptune.
This image can learn little about Triton because NASA recently decided against sending a probe to investigate it. Future Webb observations, however, should provide some insight into Triton’s surface composition and may reveal variations that point to geological activity.
The Neptune rings, most noticeable in the telescope’s perspective because of the planet’s orientation to Earth, are visible, encircling it at a slight inclination. Astronomers can measure the ring’s reflectance using the Webb telescope, providing a unique perspective on this far-off spectacle. The dimensions and material of these thin bands, which are most likely formed from ice and other debris, may be revealed by new photos.
The most recent in Webb’s series of solar system photos are those of Neptune. The first views of Mars through the telescope came this week, and the best views of Jupiter came over the summer. The observatory will be able to see far more of our solar system, including Saturn, Uranus, and even distant, cold worlds beyond Neptune, like the dwarf planet Pluto.